Practical Sailor Reviews Snatch Blocks from Six Makers

Harken, Garhauer, and Lewmar hardware stand out in our evaluation of snatch blocks. Testers rated the deck gear on the amount of friction it allowed, user-friendliness, quality of construction, corrosion resistance, working loads, price, durability, and other features.


The snatch block was developed to be installed and removed from the mid-region of a working line, and it has been loved and cursed by racers and cruisers alike. Most sailors use the hardware to lead spinnaker sheets and guys, function as a temporary turning block for a preventer, or to provide the right angle for an outboard genoa sheet lead. Many cruisers have found that a snatch block can be used as a friction-free fair lead when kedging off an unseen sandbar. Snatch blocks can also be used in sea anchoring: Cruising icons and well-known authors Lin and Larry Pardey.

Snatch Blocks

-- Attached: records of crystals --
~~~
Ca2SiB5H5O14, optimized geometry, DFT PBE-GGA; total DFT energy (no corrections) = -759.66 eV/cell; symmetry = P2_1/c, No. 14; mass density = 2533 kg/m³; volume = 9.50 Å³/atom
1.0
12.9075 0.0000 0.0000
0.0000 9.5178 0.0000
-2.2198 0.0000 8.3529
Ca Si B H O
8 4 20 20 56
direct
0.0876 0.1777 0.4745 Ca
0.0876 0.3223 0.9745 Ca
0.3811 0.6843 0.3496 Ca
0.3811 0.8157 0.8496 Ca
0.6189 0.1843 0.1504 Ca
0.6189 0.3157 0.6504 Ca
0.9124 0.6777 0.0255 Ca
0.9124 0.8223 0.5255 Ca
0.3587 0.0559 0.4887 Si
0.3587 0.4441 0.9887 Si
0.6413 0.5559 0.0113 Si
0.6413 0.9441 0.5113 Si
0.0063 0.5802 0.7489 B
0.0063 0.9198 0.2489 B
0.1572 0.7353 0.7116 B
0.1572 0.7647 0.2116 B
0.1771 0.6160 0.9723 B
0.1771 0.8840 0.4723 B
0.3422 0.1484 0.0287 B
0.3422 0.3516 0.5287 B
0.4625 0.5270 0.7422 B
0.4625 0.9730 0.2422 B
0.5375 0.0270 0.7578 B
0.5375 0.4730 0.2578 B
0.6578 0.6484 0.4713 B
0.6578 0.8516 0.9713 B
0.8229 0.1160 0.5277 B
0.8229 0.3840 0.0277 B
0.8428 0.2353 0.7884 B
0.8428 0.2647 0.2884 B
0.9937 0.0802 0.7511 B
0.9937 0.4198 0.2511 B
0.0353 0.5905 0.4035 H
0.0353 0.9095 0.9035 H
0.1652 0.0864 0.8206 H
0.1652 0.4136 0.3206 H
0.2799 0.1951 0.2157 H
0.2799 0.3049 0.7157 H
0.3268 0.0718 0.8047 H
0.3268 0.4282 0.3047 H
0.4867 0.2095 0.8489 H
0.4867 0.2905 0.3489 H
0.5133 0.7095 0.6511 H
0.5133 0.7905 0.1511 H
0.6732 0.5718 0.6953 H
0.6732 0.9282 0.1953 H
0.7201 0.6951 0.2843 H
0.7201 0.8049 0.7843 H
0.8348 0.5864 0.6794 H
0.8348 0.9136 0.1794 H
0.9647 0.0905 0.0965 H
0.9647 0.4095 0.5965 H
0.0022 0.0684 0.2071 O
0.0022 0.4316 0.7071 O
0.0617 0.5918 0.9195 O
0.0619 0.6666 0.6444 O
0.0619 0.8334 0.1444 O
0.0617 0.9082 0.4195 O
0.1013 0.1456 0.7718 O
0.1013 0.3544 0.2718 O
0.2085 0.6721 0.1351 O
0.2085 0.8279 0.6351 O
0.2135 0.7147 0.8679 O
0.2135 0.7853 0.3679 O
0.2314 0.0234 0.4720 O
0.2314 0.4766 0.9720 O
0.2530 0.1832 0.1000 O
0.2530 0.3168 0.6000 O
0.3001 0.0451 0.8973 O
0.3001 0.4549 0.3973 O
0.3746 0.2216 0.4474 O
0.3746 0.2784 0.9474 O
0.4015 0.5462 0.8650 O
0.4015 0.9538 0.3650 O
0.4196 0.0156 0.6762 O
0.4196 0.4844 0.1762 O
0.4387 0.0982 0.1440 O
0.4387 0.4018 0.6440 O
0.4442 0.6633 0.6468 O
0.4442 0.8367 0.1468 O
0.5558 0.1633 0.8532 O
0.5558 0.3367 0.3532 O
0.5613 0.5982 0.3560 O
0.5613 0.9018 0.8560 O
0.5804 0.5156 0.8238 O
0.5804 0.9844 0.3238 O
0.5985 0.0462 0.6350 O
0.5985 0.4538 0.1350 O
0.6254 0.7216 0.0526 O
0.6254 0.7784 0.5526 O
0.6999 0.5451 0.6027 O
0.6999 0.9549 0.1027 O
0.7470 0.6832 0.4000 O
0.7470 0.8168 0.9000 O
0.7686 0.5234 0.0280 O
0.7686 0.9766 0.5280 O
0.7865 0.2147 0.6321 O
0.7865 0.2853 0.1321 O
0.7915 0.1721 0.3649 O
0.7915 0.3279 0.8649 O
0.8987 0.6456 0.7282 O
0.8987 0.8544 0.2282 O
0.9383 0.0918 0.5805 O
0.9381 0.1666 0.8556 O
0.9381 0.3334 0.3556 O
0.9383 0.4082 0.0805 O
0.9978 0.5684 0.2929 O
0.9978 0.9316 0.7929 O

KCa4B3O9, optimized geometry, DFT PBE-GGA; total DFT energy (no corrections) = -242.40 eV/cell; symmetry = Ama2, No. 40; mass density = 3039 kg/m³; volume = 12.08 Å³/atom
1.0
10.7292 0.0000 0.0000
0.0000 5.8279 3.2842
~~~

( in their “Storm Tactics Handbook” how they use rugged snatch blocks and a guy to maintain the boats attitude to the wind and waves during nasty weather.

In short, this versatile piece of hardware is a welcome addition to any gear locker, and today, there are more interesting variations of the technology than ever before.

Snatch block preferences can vary greatly according to particular needs. Race-oriented sailors will want something strong, light, and efficient, while robust construction and reliability rank high for cruisers.

Practical Sailors ideal snatch block will be rugged, serviceable, and made of high-grade materials that wont fail in demanding saltwater-sailing conditions. The snap shackle and opening mechanism should remain fast under extreme flogging, yet be easy and quick to open by hand. The ideal block will rotate and pivot freely so that it provides a fair lead at a wide range of angles. A becket is a nice feature, particularly on a block meant for light-air sails, since a collapsing sail will likely let the block fall noisily to the deck if it is not supported from a lifeline by a light line or shock cord. Every element, bearings included, should be as maintenance-free as possible, and highly resistant to the sun and seawater.

**Next to the entry, the page also holds crystal structures**
~~~
Version A
A plane-wave DFT calculation with PBE was carried out for a relaxed structure of BaMg14Cd.

Cell: 10.5595 6.6535 11.4844 Å, 90.00 90.00 90.00°
Space group Amm2 (No. 38)
Unique sites:
1 Ba 0.0000 0.0000 0.0000
2 Mg 0.0000 0.2367 0.2538
3 Mg 0.2438 0.0000 0.6664
4 Mg 0.2645 0.2404 0.4141
5 Mg 0.2650 0.0000 0.1730
6 Mg 0.5000 0.0000 0.0000
7 Mg 0.5000 0.0000 0.5017
8 Mg 0.5000 0.2474 0.7493
9 Cd 0.0000 0.0000 0.4903

## Properties
Its calculated volume is 806.9 Å³ per cell.

Version B
A plane-wave DFT calculation with PBE was carried out for a relaxed structure of BaMg14Cd.

Cell: 6.6425 6.6425 10.5452 Å, 90.00 90.00 120.00°
Space group P-6m2 (No. 187)
Unique sites:
1 Ba 0.0000 0.0000 0.0000
2 Mg 0.0126 0.5063 0.0000
3 Mg 0.1723 0.3446 0.2649
4 Mg 0.5018 0.0035 0.5000
5 Mg 0.6667 0.3333 0.2459
6 Cd 0.0000 0.0000 0.5000

## Properties
Its calculated volume is 402.9 Å³ per cell.

List of relative energies, unit meV per atom: version A 0; version B 8

Version A
A plane-wave DFT calculation with PBE was carried out for a relaxed structure of BaCeEuHfO6.

Cell: 8.5841 8.5977 8.6131 Å, 90.00 90.00 90.00°
Space group Pnnn (No. 48, origin choice 2)
Unique sites:
1 Ba 0.2500 0.2500 0.2500
2 Ba 0.2500 0.7500 0.7500
3 Ce 0.0000 0.0000 0.0000
4 Eu 0.2500 0.2500 0.7500
5 Eu 0.2500 0.7500 0.2500
6 Hf 0.0000 0.0000 0.5000
7 O 0.0301 0.2373 0.4634
8 O 0.0503 0.0400 0.7365
9 O 0.2367 0.5480 0.0432

## Properties
Its calculated volume is 635.7 Å³ per cell.

Version B
A plane-wave DFT calculation with PBE was carried out for a relaxed structure of BaCeEuHfO6.

Cell: 8.6358 8.6358 8.6358 Å, 90.00 90.00 90.00°
Space group F-43m (No. 216)
Unique sites:
1 Ba 0.0000 0.0000 0.0000
2 Ce 0.2500 0.2500 0.2500
3 Eu 0.0000 0.0000 0.5000
4 Hf 0.2500 0.2500 0.7500
5 O 0.0084 0.2500 0.7500

## Properties
Its calculated volume is 644.0 Å³ per cell.

List of relative energies, unit meV per atom: version A 0; version B 241

Version A
A plane-wave DFT calculation with PBE was carried out for a relaxed structure of BaCeEuSbO6.

Cell: 6.0091 6.1096 8.5680 Å, 90.16 90.27 90.52°
Space group P-1 (No. 2)
Unique sites:
1 Ba 0.0113 0.0393 0.2495
2 Ce 0.0000 0.5000 0.5000
3 Ce 0.5000 0.0000 0.0000
4 Eu 0.4889 0.5450 0.2516
5 Sb 0.0000 0.5000 0.0000
6 Sb 0.5000 0.0000 0.5000
7 O 0.0920 0.5110 0.7620
8 O 0.2020 0.7746 0.0426
9 O 0.2266 0.7948 0.4575
10 O 0.2828 0.3067 0.0455
11 O 0.3089 0.2853 0.4561
12 O 0.4272 0.0249 0.7382

## Properties
Its calculated volume is 314.5 Å³ per cell.

Version B
A plane-wave DFT calculation with PBE was carried out for a relaxed structure of BaCeEuSbO6.

Cell: 8.6208 8.6571 8.6669 Å, 90.00 90.00 90.00°
Space group P222 (No. 16)
Unique sites:
1 Ba 0.0000 0.0000 0.0000
2 Ba 0.0000 0.0000 0.5000
3 Ba 0.0000 0.5000 0.0000
4 Ba 0.5000 0.5000 0.0000
5 Ce 0.2528 0.2515 0.2548
6 Eu 0.0000 0.5000 0.5000
7 Eu 0.5000 0.0000 0.0000
8 Eu 0.5000 0.0000 0.5000
9 Eu 0.5000 0.5000 0.5000
10 Sb 0.2512 0.2513 0.7471
11 O 0.0146 0.2145 0.7788
12 O 0.2072 0.2889 0.5140
~~~

What We Tested

We asked manufacturers to send us a pair of snatch blocks appropriate for the genoa sheets on a cruising boat in the 35- to 40-foot range. We did not specify line diameter or working load&emdash;or even the use for which the block was intended, something that an ordinary consumer should do.

Ultimately, we were sent blocks from six manufacturers&emdash;Antal, Garhauer, Harken, Lewmar, Schaefer, and Wichard. The blocks working loads ranged from 1,980 pounds (Wichard) to 5,000 pounds (Schaefer). Sheave diameter ranged from 2 inches (Antal and Wichard) to slightly over 3 inches (Garhauer). For historical perspective, we included a collection of similarly sized blocks dating back more than two decades. Not every snatch block manufacturer was represented in this test, but the selection offers a good cross-section of the blocks available today.

All but two of the blocks we tested had hinged cheeks that opened outward. The Antal and Garhauer cheeks rotated on swivel pins, so that they always remained parallel to the sheave. Testers found both types worked well, and their final ratings were based more on performance (See “How We Tested,” above), ease of use, and construction quality, than on their opening mechanism.


Antals aluminum snatch block got high marks as a functional design. Its rotating cheek plate offered side loading, and the latch mechanism was simple and straightforward. The block is actually a synthetic rubber-coated aluminum cage block with a composite resin-and-fiber main bushing. Small ball bearings lie between the sheave sides and the cheekplates, but despite innovative design, the block was anything but friction free.

Antal had submitted two different sized blocks for testing, so we initially assumed that the “stickiness” problem might be due to the small diameter (1 inches) of the 9040/SN sheave. Our solution was to retest with the 9060/SN and substitute the Black Magic bullet block we used as a control. Even with this switch to the most friction-free block as a partner for the larger Antal, the Antal 9060/SN scored the poorest in our friction test. These results clearly indicated that the bearing system of the Antal snatch block is nowhere near as efficient as the free-spinning Harken and Garhauer products. Several of the simple axle and bushing blocks also out-performed the product in the friction test.

Bottom Line:

The Antal side-rotating snatch block gets good marks for design execution and operation, but it demonstrated poor performance in friction abatement and has a limited range of movement.


The 60/SN features a cheek plate rotating opening with a pin stop that makes the latching process a simple, two-handed operation. The friction-free spin of the Torlon ball bearing race enables these blocks to score as well in the tension test as the Harken blocks. Garhauers Ronstan trunnion-type snap shackle allowed for a wide universal pivot action. The ball bearing race is slightly exposed to sunlight, and it would make sense to stow these blocks below when theyre not in use. The anodized alloy cheek plates and innovative, pressed-ring sleeve keep the bearings permanently captured, but in dusty, salty areas, a regular routine of fresh water washing will extend the life of the non-replaceable bearings.

When attempting to insert a sheet under load into the open side of the Garhauer block, the configuration of the opening would not allow the line to feed straight into the block. The sheet had to be bent slightly to conform to the blocks architecture.

The Garhauer was the block most affected by the corrosion bath test, actually losing a small amount of aluminum at one of its pointed ends.

Bottom Line:

Although its not as easy to load as others in the test, the Garhauer was exceptionally friction-free, light, and priced right. Its our Budget Buy.


This one-hand operated, bottom-opening snatch block, was one of the testers favorites. Not only is it user-friendly, and the most efficient in our friction testing, but its rugged construction promises years of heavy-duty use. The investment-cast stainless steel body is a chunky piece of metal that adds some extra weight, but it also stabilizes the load handling and provides a secure point to attach the rugged trunnion-action snap shackle.

Harkens snatch block design is fast and easy to latch as well as release. It provided the most convenient means of capturing or releasing a sheet under load. The geometry of its snap shackle is such that when working with a loaded line, the snap shackle can be easily locked onto a padeye.

The thick rubber padding on the cheeks minimizes gelcoat chipping caused by light-air sheet slackening, and the roller bearing-
supported sheave rotates on a central axle that smoothly latches to the articulating side cheek. Our only concern was the magnetic permeability of its sheave pin. All other blocks had completely non-magnetic sheave axles.

Bottom Line:

The Harken block was a top performer in testing, is quality constructed, and easy to use and maintain. It gets the nod for PS Best Choice.


Elegantly simple, this hefty traditional snatch block would be a wise choice for those looking for ultimate reliability and do-it-yourself repairability. All it takes are two 9/16-inch wrenches or sockets to loosen the sheave axle pin and pull apart the easy-to-assemble block. When the latching operation starts to get sloppy, a new set of dowel-like rubber grommets can be installed to return it to just-like-new status. Those cruising far afield and those who leave their snatch blocks rigged and exposed to the elements wont go wrong with Lewmars rugged design. The bearing system in these blocks is a simple Delrin sheave running on a metal bushing, and the frame, latch, and universal pivoting snap shackle are all stainless steel.

Unrelated to this text: calculated crystals =
┌──
The following is a DFT calculation (PBE+U) of an optimized crystal structure of CoNiH24S2O20.

Lattice parameters (Å, degrees): 6.208 6.208 24.600 81.69 81.69 71.04
Fractional positions:
H1 0.354 0.965 0.423
H2 0.316 0.938 0.910
H3 0.646 0.035 0.577
H4 0.099 0.221 0.656
H5 0.517 0.071 0.237
H6 0.684 0.062 0.090
H7 0.713 0.432 0.299
H8 0.062 0.684 0.590
H9 0.272 0.701 0.932
H10 0.483 0.929 0.763
H11 0.938 0.316 0.410
H12 0.748 0.699 0.503
H13 0.965 0.354 0.923
H14 0.728 0.299 0.068
H15 0.000 0.325 0.158
H16 0.325 0.000 0.658
H17 0.193 0.670 0.201
H18 0.699 0.748 0.003
H19 0.936 0.736 0.189
H20 0.292 0.640 0.056
H21 0.264 0.064 0.311
H22 0.071 0.517 0.737
H23 0.221 0.099 0.156
H24 0.640 0.292 0.556
H25 0.035 0.646 0.077
H26 0.901 0.779 0.344
H27 0.807 0.330 0.799
H28 0.000 0.675 0.842
H29 0.299 0.728 0.568
H30 0.657 0.933 0.950
H31 0.701 0.272 0.432
H32 0.301 0.252 0.997
H33 0.670 0.193 0.701
H34 0.568 0.287 0.201
H35 0.343 0.067 0.050
H36 0.360 0.708 0.444
H37 0.929 0.483 0.263
H38 0.933 0.657 0.450
H39 0.067 0.343 0.550
H40 0.287 0.568 0.701
H41 0.252 0.301 0.497
H42 0.064 0.264 0.811
H43 0.432 0.713 0.799
H44 0.779 0.901 0.844
H45 0.736 0.936 0.689
H46 0.675 0.000 0.342
H47 0.330 0.807 0.299
H48 0.708 0.360 0.944
O1 0.826 0.623 0.135
O2 0.325 0.863 0.456
O3 0.585 0.577 0.571
O4 0.570 0.459 0.671
O5 0.377 0.174 0.365
O6 0.360 0.871 0.783
O7 0.968 0.272 0.781
O8 0.245 0.136 0.020
O9 0.069 0.530 0.383
O10 0.136 0.245 0.520
O11 0.728 0.032 0.719
O12 0.198 0.099 0.680
O13 0.459 0.570 0.171
O14 0.871 0.360 0.283
O15 0.423 0.415 0.929
O16 0.755 0.864 0.980
O17 0.032 0.728 0.219
O18 0.541 0.430 0.829
O19 0.577 0.585 0.071
O20 0.802 0.901 0.320
O21 0.200 0.870 0.930
O22 0.640 0.129 0.217
O23 0.863 0.325 0.956
O24 0.272 0.968 0.281
O25 0.530 0.069 0.883
O26 0.931 0.470 0.617
O27 0.099 0.198 0.180
O28 0.623 0.826 0.635
O29 0.470 0.931 0.117
O30 0.864 0.755 0.480
O31 0.675 0.137 0.544
O32 0.430 0.541 0.329
O33 0.800 0.130 0.070
O34 0.870 0.200 0.430
O35 0.415 0.423 0.429
O36 0.129 0.640 0.717
O37 0.174 0.377 0.865
O38 0.137 0.675 0.044
O39 0.901 0.802 0.820
O40 0.130 0.800 0.570
Co1 0.000 0.000 0.500
Co2 0.000 0.000 0.000
S1 0.323 0.418 0.376
S2 0.582 0.677 0.124
S3 0.677 0.582 0.624
S4 0.418 0.323 0.876
Ni1 0.051 0.949 0.750
Ni2 0.949 0.051 0.250

As for the space group: C2/c. Its total energy is -5.22 eV per atom. The calculation puts the formation enthalpy at 0 K at -1.39 eV/atom.



The following is a DFT calculation (PBE+U) of an optimized crystal structure of LiMn2O3F.

Lattice parameters (Å, degrees): 6.039 6.159 8.496 91.06 92.68 91.87
Fractional positions:
Mn1 0.251 0.250 0.751
Mn2 0.000 0.500 0.000
Mn3 0.749 0.250 0.250
Mn4 0.500 0.000 0.500
Mn5 0.000 0.000 0.500
Mn6 0.251 0.750 0.751
Mn7 0.749 0.750 0.249
Mn8 0.500 0.500 0.000
F1 0.522 0.009 0.765
F2 0.478 0.991 0.235
F3 0.020 0.510 0.264
F4 0.980 0.490 0.736
O1 0.258 0.209 0.520
O2 0.045 0.995 0.734
O3 0.742 0.791 0.480
O4 0.281 0.769 0.526
O5 0.242 0.289 0.980
O6 0.955 0.005 0.266
└──

The Lewmar survived the corrosion test fairly well, but showed some oxidation around its latch. It was also only one of two test blocks that is easily disassembled.

Bottom Line:

Well-designed, rugged, and easy to use, the Lewmar block is PSs Recommended block for off-the-beaten-path cruisers.


Another tried and proven product is Schaefers traditional snatch block design, and we looked at its range of three differently size blocks. Our test pair were the large 11-99 and medium 07-99 models. They are identical in all aspects, except size and safe working load, which were 5,000 pounds for the large and 3,750 pounds for the medium.

These blocks cannot be disassembled, but their simple, rugged design promises years of reliability. The large sheaves and rugged cage structure operated smoothly, with fairly low-friction operation, and potential cosmetic deck damage caused by the blocks heft was prevented by the addition of shock absorbing urethane side plates.

Schaefers snap shackle was not the trunnion type, limiting articulation to about 15 degrees off the vertical. In certain conditions&emdash;snapping the block to an open toe rail, for example&emdash;this limited range of movement could cause the snatch block snap shackle to hang up, and possibly cause some damage to the block. Such problems are less likely to occur if the block is supported with a shock cord.

Schaefers peened over, cold formed, stainless steel main axle pin showed some signs of oxidation after the corrosion test.

Bottom Line:

The Schaefer block is held back by a limited range of movement and high friction readings.


The Wichard blocks latch mechanism opens the entire top portion of the block and is pinned closed by a piston-like extension of the main axle. The block handled efficiently during testing, but it was on the small side in comparison to other competitors. When it came to friction testing, it was clear that sheave size, or roller/ball bearings make a difference. The blocks small size and bushing-type bearings, not surprisingly, yielded higher friction readings in our test.

Snatch Blocks

Bottom Line:

Like most Wichard hardware, this snatch block is well-engineered and nicely finished. Poor performance in the friction test put this one behind the leaders in our test.

Old Timers

Along with obvious signs of corrosion and physical deterioration, the working antiques we tested scored poorly on friction tests, and the worst examples of corrosion were directly linked to broken axle shafts and cracked snap-shackle pivots. The oldest Gibb tufnol blocks and a silicon-bronze roller-bearing Nicro/Fico product looked pretty bad, but still worked reasonably well. The silicon-bronze chrome plating was all but gone, and a green patina covered the metal, acting as a natural protective coating to hold any further corrosion at bay. In a pinch, disassembling these blocks, cleaning, and lubricating them with a simple lithium grease or higher-tech product can return them to satisfactory usability&emdash;a trait that holds value to long-distance voyagers.


If youre a performance-oriented sailor, ball- or roller-bearing supported sheaves really count. Harken and Garhauer blocks stole the show when it came to friction-free operation, which will make light-air spinnaker trimmers smile. Cruisers with smaller winches should also check these out.

A trunnion-type snap shackle or universal joint improves attachment&emdash;insuring universal movement. This wider range of bending prevents a snap shackle from being damaged due to variations in sheet lead angles or padeye design. The improved articulation makes odd lead angles tolerable, and allows the snatch block to self align with the loads imposed.

Harken and Garhauer provided trunnion-type snap shackles, while Lewmar and Wichard used a universal toggle-type attachment to achieve a similar range of movement.

Antals snap shackle and Schaefers modest 15-degree range of movement were less versatile. Antal does offer a lashing option that may appeal to some racers, but one of the advantages of a snatch block is its ability to be moved from one attachment point to another as quickly as possible, and a snap shackle is better suited for this.

Bigger blocks mean larger diameter sheaves, and the benefits include better load distribution on the bearing surface and less point load on the line itself. Our friction test showed a clear trend, revealing that once ball and roller bearings were removed from the equation, bigger blocks run smoother than smaller blocks.

The two-step attachment process to setting up a snatch block ranged from butter-smooth to downright difficult. Once again, Harken topped the charts with its unique clam shell-like, push-button opening process. Of the side-opening types, testers preferred Antals approach. However, Garhauers use of a Ronstan trunnion-type snap shackle was a big hit, and its large-diameter sheave and roller bearings helped yield excellent friction ratings.

Only the Antal and Lewmar blocks were easily DIY disassemblable, as compared to nearly all of those made a few decades ago. This is likely a market response to todays sailors who replace rather than repair broken gear, a game plan thats hard to implement at sea or in remote landfalls.

Harkens easy-to-operate, friction-free, front-loading snatch block gets the Best Choice kudos. Lewmars bulletproof traditional entry was rugged, easy to refit, well-constructed, and our Recommended choice for the long-range cruiser. Our Budget Buy, Garhauers proven side loader, is a cost effective competitor.

Darrell Nicholson
Practical Sailor has been independently testing and reporting on sailboats and sailing gear for more than 50 years. Its independent tests are carried out by experienced sailors and marine industry professionals dedicated to providing objective evaluation and reporting about boats, gear, and the skills required to cross oceans. Practical Sailor is edited by Darrell Nicholson, a long-time liveaboard sailor and trans-Pacific cruiser who has been director of Belvoir Media Group's marine division since 2005. He holds a U.S. Coast Guard 100-ton Master license, has logged tens of thousands of miles in three oceans, and has skippered everything from pilot boats to day charter cats. His weekly blog Inside Practical Sailor offers an inside look at current research and gear tests at Practical Sailor, while his award-winning column,"Rhumb Lines," tracks boating trends and reflects upon the sailing life. He sails a Sparkman & Stephens-designed Yankee 30 out of St. Petersburg, Florida. You can reach him at